Now repeat everything below with every line break kept.

/*
Record 1
# Ce2ErSi2

Crystalline Ce2ErSi2 at its relaxed geometry (PBE-GGA, the Alexandria database).

a b c (Å): 7.490 7.490 4.311
angles (deg): 90.00 90.00 90.00
Fractional coordinates of all 10 atoms:
Ce  0.178  0.322  0.000
Ce  0.322  0.822  0.000
Ce  0.678  0.178  0.000
Ce  0.822  0.678  0.000
Er  0.000  0.000  0.500
Er  0.500  0.500  0.500
Si  0.116  0.616  0.500
Si  0.384  0.116  0.500
Si  0.616  0.884  0.500
Si  0.884  0.384  0.500

Properties
total DFT energy (no corrections) = -6.077 eV/atom
crystal system = tetragonal
raw formation energy = -3.11 eV per formula unit

Record 2
# GeHF

Crystalline GeHF at its relaxed geometry (PBE-GGA, the Alexandria database).

a b c (Å): 4.514 4.234 5.385
angles (deg): 90.00 112.84 90.00
Fractional coordinates of all 6 atoms:
Ge  0.100  0.250  0.126
Ge  0.900  0.750  0.874
H  0.129  0.250  0.419
H  0.871  0.750  0.581
F  0.475  0.750  0.814
F  0.525  0.250  0.186

Properties
total DFT energy (no corrections) = -4.202 eV/atom
crystal system = monoclinic

Record 3
# EuPa2Co

Crystalline EuPa2Co at its relaxed geometry (PBE-GGA, the Alexandria database).

a b c (Å): 10.160 10.160 10.160
angles (deg): 19.70 19.70 19.70
Fractional coordinates of all 4 atoms:
Eu  0.000  0.000  0.000
Pa  0.110  0.110  0.110
Pa  0.890  0.890  0.890
Co  0.500  0.500  0.500

Properties
total DFT energy (no corrections) = -8.884 eV/atom
crystal system = trigonal
DFT formation energy = 0.2088 eV/atom

* * * * *

KMgZr: optimized geometry, PBE.

Cell: 5.2388 5.2388 5.2388 Å, 60.00 60.00 60.00°
With the nearest neighbours (Å) after each atom.
Positions (direct):
K  0.0000  0.0000  0.0000  4 Mg 3.21, 4 Zr 3.21
Mg  0.7500  0.7500  0.7500  4 K 3.21
Zr  0.2500  0.2500  0.2500  4 K 3.21

## Properties
Final energy, eV/atom: -2.1380
Excess energy over the best structure of this formula in the dataset, meV per atom: 1146
Formation energy, meV per atom: 1609

* * * * *

# TaZnCu2B PBE optimized geometry
# magnetic moment	0.1	μB per formula unit
# ΔH_f (0 K)	1.533	eV per atom
data_TaZnCu2B
_chemical_formula_sum 'Ta1 Zn1 Cu2 B1'
_cell_length_a 4.8611
_cell_length_b 4.8611
_cell_length_c 4.1979
_cell_angle_alpha 90.00
_cell_angle_beta 90.00
_cell_angle_gamma 90.00
_space_group_name_H-M_alt 'P 4/m m m'
_space_group_IT_number 123
_space_group_name_Hall '-P 4 2'
loop_
_atom_site_label
_atom_site_type_symbol
_atom_site_fract_x
_atom_site_fract_y
_atom_site_fract_z
_atom_site_occupancy
Ta1 Ta 0.0000 0.0000 0.0000 1
Zn1 Zn 0.5000 0.5000 0.5000 1
Cu1 Cu 0.0000 0.5000 0.0000 1
B1 B 0.0000 0.0000 0.5000 1

* * * * *

Density functional theory data (PBE+U) for a relaxed AcDyV2O8 crystal. Values from VASP.

Cell and atoms, written as Quantum ESPRESSO input:
```
&SYSTEM
  ibrav = 0, nat = 12, ntyp = 4
/
ATOMIC_SPECIES
Ac 227.00 Ac.upf
Dy 162.50 Dy.upf
V 50.94 V.upf
O 16.00 O.upf
CELL_PARAMETERS angstrom
-3.735 3.735 3.277
3.735 -3.735 3.277
3.735 3.735 -3.277
ATOMIC_POSITIONS angstrom
Ac 0.000 0.000 0.000
Dy 3.735 0.000 1.639
V 0.000 0.000 3.277
V 0.000 3.735 1.639
O 2.345 3.735 -1.063
O 1.390 0.000 2.214
O 0.000 2.445 0.470
O 3.735 2.345 1.063
O 0.000 5.026 0.470
O 0.000 1.390 4.340
O -1.291 3.735 2.807
O 1.291 3.735 2.807
```

## Properties
total energy: -95.87 eV per cell
Fermi-level density of states: 0.00 states/eV per cell

* * * * *

Compound: InSn4Pb6
Source: Alexandria
Functional: PBE
Structure: optimized geometry

Cell: 8.404 8.404 8.404 Å, 125.58 125.58 80.58°
Atoms (fractional coordinates):
In1 0.000 0.000 0.000
Sn1 0.116 0.116 0.490
Sn2 0.374 0.884 0.000
Sn3 0.626 0.626 0.510
Sn4 0.884 0.374 0.000
Pb1 0.000 0.500 0.500
Pb2 0.202 0.514 0.000
Pb3 0.486 0.486 0.688
Pb4 0.500 0.000 0.500
Pb5 0.514 0.202 0.000
Pb6 0.798 0.798 0.312

SG: I-42m, No. 121
Formation energy from the elements: 0.126 eV per atom


Compound: In6Sn2Pb
Source: Alexandria
Functional: PBE
Structure: optimized geometry

Cell: 5.285 5.285 10.444 Å, 90.00 90.00 120.00°
Atoms (fractional coordinates):
In1 0.000 0.000 0.163
In2 0.000 0.000 0.837
*/

Record 1
# Ce2ErSi2

Crystalline Ce2ErSi2 at its relaxed geometry (PBE-GGA, the Alexandria database).

a b c (Å): 7.490 7.490 4.311
angles (deg): 90.00 90.00 90.00
Fractional coordinates of all 10 atoms:
Ce  0.178  0.322  0.000
Ce  0.322  0.822  0.000
Ce  0.678  0.178  0.000
Ce  0.822  0.678  0.000
Er  0.000  0.000  0.500
Er  0.500  0.500  0.500
Si  0.116  0.616  0.500
Si  0.384  0.116  0.500
Si  0.616  0.884  0.500
Si  0.884  0.384  0.500

Properties
total DFT energy (no corrections) = -6.077 eV/atom
crystal system = tetragonal
raw formation energy = -3.11 eV per formula unit

Record 2
# GeHF

Crystalline GeHF at its relaxed geometry (PBE-GGA, the Alexandria database).

a b c (Å): 4.514 4.234 5.385
angles (deg): 90.00 112.84 90.00
Fractional coordinates of all 6 atoms:
Ge  0.100  0.250  0.126
Ge  0.900  0.750  0.874
H  0.129  0.250  0.419
H  0.871  0.750  0.581
F  0.475  0.750  0.814
F  0.525  0.250  0.186

Properties
total DFT energy (no corrections) = -4.202 eV/atom
crystal system = monoclinic

Record 3
# EuPa2Co

Crystalline EuPa2Co at its relaxed geometry (PBE-GGA, the Alexandria database).

a b c (Å): 10.160 10.160 10.160
angles (deg): 19.70 19.70 19.70
Fractional coordinates of all 4 atoms:
Eu  0.000  0.000  0.000
Pa  0.110  0.110  0.110
Pa  0.890  0.890  0.890
Co  0.500  0.500  0.500

Properties
total DFT energy (no corrections) = -8.884 eV/atom
crystal system = trigonal
DFT formation energy = 0.2088 eV/atom

* * * * *

KMgZr: optimized geometry, PBE.

Cell: 5.2388 5.2388 5.2388 Å, 60.00 60.00 60.00°
With the nearest neighbours (Å) after each atom.
Positions (direct):
K  0.0000  0.0000  0.0000  4 Mg 3.21, 4 Zr 3.21
Mg  0.7500  0.7500  0.7500  4 K 3.21
Zr  0.2500  0.2500  0.2500  4 K 3.21

## Properties
Final energy, eV/atom: -2.1380
Excess energy over the best structure of this formula in the dataset, meV per atom: 1146
Formation energy, meV per atom: 1609

* * * * *

# TaZnCu2B PBE optimized geometry
# magnetic moment	0.1	μB per formula unit
# ΔH_f (0 K)	1.533	eV per atom
data_TaZnCu2B
_chemical_formula_sum 'Ta1 Zn1 Cu2 B1'
_cell_length_a 4.8611
_cell_length_b 4.8611
_cell_length_c 4.1979
_cell_angle_alpha 90.00
_cell_angle_beta 90.00
_cell_angle_gamma 90.00
_space_group_name_H-M_alt 'P 4/m m m'
_space_group_IT_number 123
_space_group_name_Hall '-P 4 2'
loop_
_atom_site_label
_atom_site_type_symbol
_atom_site_fract_x
_atom_site_fract_y
_atom_site_fract_z
_atom_site_occupancy
Ta1 Ta 0.0000 0.0000 0.0000 1
Zn1 Zn 0.5000 0.5000 0.5000 1
Cu1 Cu 0.0000 0.5000 0.0000 1
B1 B 0.0000 0.0000 0.5000 1

* * * * *

Density functional theory data (PBE+U) for a relaxed AcDyV2O8 crystal. Values from VASP.

Cell and atoms, written as Quantum ESPRESSO input:
```
&SYSTEM
  ibrav = 0, nat = 12, ntyp = 4
/
ATOMIC_SPECIES
Ac 227.00 Ac.upf
Dy 162.50 Dy.upf
V 50.94 V.upf
O 16.00 O.upf
CELL_PARAMETERS angstrom
-3.735 3.735 3.277
3.735 -3.735 3.277
3.735 3.735 -3.277
ATOMIC_POSITIONS angstrom
Ac 0.000 0.000 0.000
Dy 3.735 0.000 1.639
V 0.000 0.000 3.277
V 0.000 3.735 1.639
O 2.345 3.735 -1.063
O 1.390 0.000 2.214
O 0.000 2.445 0.470
O 3.735 2.345 1.063
O 0.000 5.026 0.470
O 0.000 1.390 4.340
O -1.291 3.735 2.807
O 1.291 3.735 2.807
```

## Properties
total energy: -95.87 eV per cell
Fermi-level density of states: 0.00 states/eV per cell

* * * * *

Compound: InSn4Pb6
Source: Alexandria
Functional: PBE
Structure: optimized geometry

Cell: 8.404 8.404 8.404 Å, 125.58 125.58 80.58°
Atoms (fractional coordinates):
In1 0.000 0.000 0.000
Sn1 0.116 0.116 0.490
Sn2 0.374 0.884 0.000
Sn3 0.626 0.626 0.510
Sn4 0.884 0.374 0.000
Pb1 0.000 0.500 0.500
Pb2 0.202 0.514 0.000
Pb3 0.486 0.486 0.688
Pb4 0.500 0.000 0.500
Pb5 0.514 0.202 0.000
Pb6 0.798 0.798 0.312

SG: I-42m, No. 121
Formation energy from the elements: 0.126 eV per atom


Compound: In6Sn2Pb
Source: Alexandria
Functional: PBE
Structure: optimized geometry

Cell: 5.285 5.285 10.444 Å, 90.00 90.00 120.00°
Atoms (fractional coordinates):
In1 0.000 0.000 0.163
In2 0.000 0.000 0.837